#RAISE2018 in Review: What I took away from the conference hosted by the techies taking over higher ed.

Lindsay Roth
Published in
4 min readSep 2, 2018
Photo credit: EverTrue

At the end of July I was fortunate enough to attend #RAISE2018 — the annual conference hosted by EverTrue, the web-based software company that provides higher ed clients the ability to analyze their data, streamline their prospect management strategies, and use social media content to continue to market to an audience of one.

During this annual conference, EverTrue partners with connections in the private sector and brings them together with their higher education clients for two days of inspiration, brainstorming, and discussion. The idea is to take what the private sector has known to be effective and apply it to the (at times glacially-paced) higher ed field. While this can seem like a truly radical idea, I found my time there to be riddled with inspiration and great networking. I’m also now a fangirl of the max 30-minute presentation. Full stop.

Below are seven of my favorite tips I learned from the gathering in Boston at the Revere Hotel.

1. Friends Knock with their Feet.

During his presentation, Mike Troiano of G20 Ventures used an example that stuck with me. When you’re going to a friends house for dinner, do you arrive empty handed? Likely not. Your arms could be overflowing with your contribution to the potluck, thus forcing you to knock with your feet.

What do you, as an institution, bring to the table when asking your alumni to give back, come back, or help out? By showing the benefits you’ve provided beyond graduation, you’ll be more likely to get the buy-in you’re looking for.

2. Social Currency can Carry Your Message

When Puma launched its new basketball shoe (the first in decades) they employed Jay-Z as Chief Creative Officer (literally). This wasn’t the full focus of the discussion — thankfully — but rather how it helped create a conversation that carried beyond the channels they thought would be the most active about spreading the word.

Bottom line: how can you infuse your message with more social currency and excitement to keep the chatter embedded in the news feeds and conversations that your alumni are already engaging in?

3. Create Social Media Ambassadors the Easy Way: Freebies.

Do you have a fan on social who always shows up?

REWARD THEM with a freebie or two and a note of thanks. Do this regularly. Kudos to Drift for pointing out the obvious that can sometimes be over-thunk.

4. Syracuse University is Flipping Hiring for Campaigns on its Head.

SU is in campaign-mode and to help with the turnover plaguing higher ed advancement, they’re hiring front line officers with a plan. for. growth. I. kid. you. not.

Basically the front line officers are a mix of external and internal. Most are entry level, so it makes sense to growth them based on their length of service and ability to achieve metrics. This is also known as how it works in the sales industry.

So excited to see how this pans out for them.

5. The BS-meter is HIGH.

Your millenial and Gen-Z donors can detect that highly produced, uber-controlled messaging without much effort. Do yourself a favor and create a student-run channel that offers a genuine lens into life on campus. Consider doing this for your faculty/staff recruitment efforts by engaging ambassadors, creating an account, and getting out of their way.

The results could astound you, as they did when HubSpot did this for employee recruitment effort and transparency in the hiring process. See @hubspotlife on Instagram for more. If you’re looking for in-the-field examples, look at @umassdstudents.

6. EverTrue can be used to Inspire Messages Across all Platforms, like ThankView.

I’ve worked at two institutions who use EverTrue and it is an essential part of my job (and no, they are not paying me to say this — I love the product that much!). The ability to test out content on social media to see if it gets a response is the kind of magic I’ve been waiting for. It helps guide my decision making when messaging to the masses and hone in on nondonors when crunch time rolls around.

So, if you have a popular post that inquires about a favorite professor, why not film a quick video with some of the popular, longtime leaders in the classroom encouraging alumni to give back? EverTrue can help gauge the responses and determine if it’s worth building based on the donor behavior of the group that interacts with the post.

Like I said, magic.

7. Work with Vendors who Really, Really Care.

Misplaced data records >
# MgCr4Cu3O12 (PBE+U, optimized geometry)
data_MgCr4Cu3O12
_chemical_formula_sum 'Mg1 Cr4 Cu3 O12'
_cell_length_a 6.363
_cell_length_b 6.363
_cell_length_c 6.363
_cell_angle_alpha 109.47
_cell_angle_beta 109.47
_cell_angle_gamma 109.47
_symmetry_space_group_name_H-M 'P 1'
_symmetry_Int_Tables_number 1
_symmetry_space_group_name_Hall 'P 1'
loop_
_atom_site_label
_atom_site_fract_x
_atom_site_fract_y
_atom_site_fract_z
Mg1 0.000 0.000 0.000
Cr1 0.000 0.000 0.500
Cr2 0.000 0.500 0.000
Cr3 0.500 0.000 0.000
Cr4 0.500 0.500 0.500
Cu1 0.000 0.500 0.500
Cu2 0.500 0.000 0.500
Cu3 0.500 0.500 0.000
O1 0.141 0.833 0.309
O2 0.167 0.309 0.476
O3 0.167 0.691 0.859
O4 0.309 0.141 0.833
O5 0.309 0.476 0.167
O6 0.476 0.167 0.309
O7 0.524 0.833 0.691
O8 0.691 0.524 0.833
O9 0.691 0.859 0.167
O10 0.833 0.309 0.141
O11 0.833 0.691 0.524
O12 0.859 0.167 0.691
# E (eV/atom): -6.537
# Space group: Im-3 (204)

~~~~~

8
Lattice="5.764 0.000 0.000 0.000 5.764 0.000 2.882 2.882 3.897" Properties=species:S:1:pos:R:3 comment="Ta2AgH PBE-GGA optimized geometry" e_tot_ev_per_cell=-54.939 vol_a3_per_atom=16.2 m_tot_mub_per_cell=0.00 e_above_lowest_polymorph_mev_per_atom=0 pbc="T T T"
H 2.882 2.882 0.000
H 2.882 5.764 1.948
Ag 0.000 0.000 0.000
Ag 5.764 2.882 1.948
Ta 2.595 1.441 0.974
Ta 3.169 4.323 0.974
Ta 4.323 6.051 2.923
Ta 7.205 5.477 2.923

~~~~~

First-principles (GGA-PBE) data for Li2TcH6Au after structural relaxation, as listed in OQMD via LeMat-Bulk.

The structure belongs to space group Fm-3m (No. 225); the cell edges are 7.131, 7.131 and 7.131 Å and the angles 90.00°, 90.00° and 90.00°. The distinct sites, in fractional coordinates, are Li at (0.250, 0.250, 0.250), Tc at (0.000, 0.000, 0.000), H at (0.000, 0.000, 0.247) and Au at (0.000, 0.000, 0.500).

The value obtained for the total energy is -36.6 eV/f.u.

~~~~~

*i*
Ru2IF | GGA-PBE | relaxed

Unit cell a=6.1970 b=6.1970 c=6.1970 alpha=90.00 beta=90.00 gamma=90.00
Sites, in units of the cell vectors:
Ru1 0.2500 0.2500 0.2500
Ru2 0.2500 0.2500 0.7500
Ru3 0.2500 0.7500 0.2500
Ru4 0.2500 0.7500 0.7500
Ru5 0.7500 0.2500 0.2500
Ru6 0.7500 0.2500 0.7500
Ru7 0.7500 0.7500 0.2500
Ru8 0.7500 0.7500 0.7500
I1 0.0000 0.0000 0.0000
I2 0.0000 0.5000 0.5000
I3 0.5000 0.0000 0.5000
I4 0.5000 0.5000 0.0000
F1 0.0000 0.0000 0.5000
F2 0.0000 0.5000 0.0000
F3 0.5000 0.0000 0.0000
F4 0.5000 0.5000 0.5000

Space group ... No. 225

=====

*ii*
Ru2IF | GGA-PBE | relaxed

Unit cell a=6.6633 b=6.6633 c=5.7839 alpha=90.00 beta=90.00 gamma=90.00
Sites, in units of the cell vectors:
Ru1 0.2157 0.2500 0.1250
Ru2 0.2500 0.7157 0.3750
Ru3 0.2500 0.7843 0.8750
Ru4 0.2843 0.2500 0.6250
Ru5 0.7157 0.7500 0.6250
Ru6 0.7500 0.2157 0.8750
Ru7 0.7500 0.2843 0.3750
Ru8 0.7843 0.7500 0.1250
I1 0.0000 0.0000 0.5000
I2 0.0000 0.5000 0.7500
I3 0.5000 0.0000 0.2500
I4 0.5000 0.5000 0.0000
F1 0.0000 0.0000 0.0000
F2 0.0000 0.5000 0.2500
F3 0.5000 0.0000 0.7500
F4 0.5000 0.5000 0.5000

Space group ... No. 122

=====

It was clear to me that all of the staff loved their jobs and that Brent, the CEO, genuinely likes working with a somewhat dated industry and flipping the tried and true approaches on their heads. Like the team at ThankView, this group is flexible, approachable, and just darn inspiring.

If you haven’t signed up for a ThankView demo, why not try it today? Are you on EverTrue? How do you use the two platforms together? Tell me all of your secrets, in the comments or in our exclusive Partner Community on Facebook.



Lindsay Roth

I write about alumni engagement & fundraising, & how tech can yield better results. Full time @ UMASS Dartmouth. Occasionally of ThankView.